### Input
=====
No. 1
The following is a SCAN calculation of a crystal of CaAg2Au relaxed with PBEsol, from Alexandria.

```
4
Lattice="-3.8850 -1.2938 0.6971 1.4692 -3.3702 1.9331 -0.0393 2.2151 3.8917" Properties=species:S:1:pos:R:3 pbc="T T T"
Ca -0.0197 1.1075 1.9459
Au -1.2276 -1.2244 3.2610
Ag 0.7346 -1.6851 0.9665
Ag -1.9425 -0.6469 0.3486
```

Results
- Energy of formation: -0.34 eV/atom
- E_tot: -2.6260 Ry per atom
- ρ: 9.7 Mg/m³
- V: 77.26 Å³/f.u.



No. 2
The following is a SCAN calculation of a crystal of Ca2MgTe relaxed with PBEsol, from Alexandria.

```
8
Lattice="-5.8712 3.0239 2.5485 1.8226 -6.3159 2.6263 5.2952 4.3763 1.7086" Properties=species:S:1:pos:R:3 pbc="T T T"
Ca -0.9083 -0.5202 5.4812
Ca 1.1428 0.7815 2.6958
Ca 1.6879 5.5218 3.5288
Ca 0.5708 -3.6146 2.0608
Te 2.5468 -1.7928 3.4611
Te 0.0000 0.0000 0.0000
Mg -1.3001 2.8771 3.4222
Mg -2.0243 -1.6460 2.5874
```

Results
- E_tot: -1.1687 Ry per atom
- ρ: 2.9 Mg/m³
- V: 134.52 Å³/f.u.



No. 3
The following is a SCAN calculation of a crystal of ReMo2Os relaxed with PBEsol, from Alexandria.

```
4
Lattice="4.3789 0.0000 0.0000 2.1894 3.7922 0.0000 2.1894 1.2641 3.5753" Properties=species:S:1:pos:R:3 pbc="T T T"
Mo 0.0000 0.0000 0.0000
Mo 6.5683 3.7922 2.6815
Os 4.3789 2.5281 1.7877
Re 2.1894 1.2641 0.8938
```

Results
- Energy of formation: 0.20 eV/atom
- E_tot: -3.8944 Ry per atom
- ρ: 15.9 Mg/m³
- V: 59.37 Å³/f.u.


Below is NaDyHgS3 after structural relaxation, with properties calculated at the PBE-GGA level.

Calculated values
Total DFT energy (no corrections), Ry per atom: -0.3121

Cell: 10.816 4.040 13.303 Å, 90.00 90.00 90.00°
Atoms (fractional coordinates):
Na (0.205, 0.250, 0.012)
Na (0.295, 0.750, 0.512)
Na (0.705, 0.250, 0.488)
Na (0.795, 0.750, 0.988)
Dy (0.010, 0.750, 0.262)
Dy (0.490, 0.250, 0.762)
Dy (0.510, 0.750, 0.238)
Dy (0.990, 0.250, 0.738)
Hg (0.239, 0.750, 0.797)
Hg (0.261, 0.250, 0.297)
Hg (0.739, 0.750, 0.703)
Hg (0.761, 0.250, 0.203)
S (0.032, 0.750, 0.879)
S (0.066, 0.250, 0.394)
S (0.237, 0.250, 0.669)
S (0.263, 0.750, 0.169)
S (0.434, 0.750, 0.894)
S (0.468, 0.250, 0.379)
S (0.532, 0.750, 0.621)
S (0.566, 0.250, 0.106)
S (0.737, 0.250, 0.831)
S (0.763, 0.750, 0.331)
S (0.934, 0.750, 0.606)
S (0.968, 0.250, 0.121)



Below is NaDyHgS3 after structural relaxation, with properties calculated at the PBE-GGA level.

Calculated values
Total DFT energy (no corrections), Ry per atom: -0.3114

Cell: 8.737 8.737 8.794 Å, 104.94 104.94 26.26°
Atoms (fractional coordinates):
Na (0.133, 0.133, 0.072)
Na (0.867, 0.867, 0.928)
Dy (0.175, 0.175, 0.595)
Dy (0.825, 0.825, 0.405)
Hg (0.483, 0.483, 0.275)
Hg (0.517, 0.517, 0.725)
S (0.000, 0.000, 0.500)
S (0.323, 0.323, 0.191)
S (0.336, 0.336, 0.627)
S (0.500, 0.500, 0.000)
S (0.664, 0.664, 0.373)
S (0.677, 0.677, 0.809)



Below is NaDyHgS3 after structural relaxation, with properties calculated at the PBE-GGA level.

Calculated values
Total DFT energy (no corrections), Ry per atom: -0.3132

Cell: 7.873 4.065 10.402 Å, 90.00 106.33 90.00°
Atoms (fractional coordinates):
Na (0.188, 0.250, 0.159)
Na (0.812, 0.750, 0.841)
Dy (0.329, 0.750, 0.857)
Dy (0.671, 0.250, 0.143)
Hg (0.079, 0.250, 0.615)
Hg (0.921, 0.750, 0.385)
S (0.082, 0.250, 0.860)
S (0.255, 0.750, 0.568)
S (0.436, 0.750, 0.131)
S (0.564, 0.250, 0.869)
S (0.745, 0.250, 0.432)
S (0.918, 0.750, 0.140)



Short version: energy above the most stable polymorph in this dataset = 0.65; 0.87; 0.29 kcal/mol of atoms, in the order given.


ErSnGePd | PBE | optimized geometry

Cell lengths 4.8954, 4.8954, 4.8954 Å; angles 60.00, 60.00, 60.00 degrees
Positions (direct):
Sn1 0.0000 0.0000 0.0000
Pd1 0.7500 0.7500 0.7500
Er1 0.5000 0.5000 0.5000
Ge1 0.2500 0.2500 0.2500

Computed properties:
The density comes out at 9.31 g/cm³. Its total magnetization is 0.0 μB/f.u. Its space group is F-43m (216). Its density of states at the Fermi level is 0.64 states/eV/atom. The raw total energy comes out at -5.0784 eV/atom.



Hf2ZrRu | PBE | optimized geometry
=====

### Activity
Please echo the whole of the calculation results further above character by character.

### Solution
No. 1
The following is a SCAN calculation of a crystal of CaAg2Au relaxed with PBEsol, from Alexandria.

```
4
Lattice="-3.8850 -1.2938 0.6971 1.4692 -3.3702 1.9331 -0.0393 2.2151 3.8917" Properties=species:S:1:pos:R:3 pbc="T T T"
Ca -0.0197 1.1075 1.9459
Au -1.2276 -1.2244 3.2610
Ag 0.7346 -1.6851 0.9665
Ag -1.9425 -0.6469 0.3486
```

Results
- Energy of formation: -0.34 eV/atom
- E_tot: -2.6260 Ry per atom
- ρ: 9.7 Mg/m³
- V: 77.26 Å³/f.u.



No. 2
The following is a SCAN calculation of a crystal of Ca2MgTe relaxed with PBEsol, from Alexandria.

```
8
Lattice="-5.8712 3.0239 2.5485 1.8226 -6.3159 2.6263 5.2952 4.3763 1.7086" Properties=species:S:1:pos:R:3 pbc="T T T"
Ca -0.9083 -0.5202 5.4812
Ca 1.1428 0.7815 2.6958
Ca 1.6879 5.5218 3.5288
Ca 0.5708 -3.6146 2.0608
Te 2.5468 -1.7928 3.4611
Te 0.0000 0.0000 0.0000
Mg -1.3001 2.8771 3.4222
Mg -2.0243 -1.6460 2.5874
```

Results
- E_tot: -1.1687 Ry per atom
- ρ: 2.9 Mg/m³
- V: 134.52 Å³/f.u.



No. 3
The following is a SCAN calculation of a crystal of ReMo2Os relaxed with PBEsol, from Alexandria.

```
4
Lattice="4.3789 0.0000 0.0000 2.1894 3.7922 0.0000 2.1894 1.2641 3.5753" Properties=species:S:1:pos:R:3 pbc="T T T"
Mo 0.0000 0.0000 0.0000
Mo 6.5683 3.7922 2.6815
Os 4.3789 2.5281 1.7877
Re 2.1894 1.2641 0.8938
```

Results
- Energy of formation: 0.20 eV/atom
- E_tot: -3.8944 Ry per atom
- ρ: 15.9 Mg/m³
- V: 59.37 Å³/f.u.


Below is NaDyHgS3 after structural relaxation, with properties calculated at the PBE-GGA level.

Calculated values
Total DFT energy (no corrections), Ry per atom: -0.3121

Cell: 10.816 4.040 13.303 Å, 90.00 90.00 90.00°
Atoms (fractional coordinates):
Na (0.205, 0.250, 0.012)
Na (0.295, 0.750, 0.512)
Na (0.705, 0.250, 0.488)
Na (0.795, 0.750, 0.988)
Dy (0.010, 0.750, 0.262)
Dy (0.490, 0.250, 0.762)
Dy (0.510, 0.750, 0.238)
Dy (0.990, 0.250, 0.738)
Hg (0.239, 0.750, 0.797)
Hg (0.261, 0.250, 0.297)
Hg (0.739, 0.750, 0.703)
Hg (0.761, 0.250, 0.203)
S (0.032, 0.750, 0.879)
S (0.066, 0.250, 0.394)
S (0.237, 0.250, 0.669)
S (0.263, 0.750, 0.169)
S (0.434, 0.750, 0.894)
S (0.468, 0.250, 0.379)
S (0.532, 0.750, 0.621)
S (0.566, 0.250, 0.106)
S (0.737, 0.250, 0.831)
S (0.763, 0.750, 0.331)
S (0.934, 0.750, 0.606)
S (0.968, 0.250, 0.121)



Below is NaDyHgS3 after structural relaxation, with properties calculated at the PBE-GGA level.

Calculated values
Total DFT energy (no corrections), Ry per atom: -0.3114

Cell: 8.737 8.737 8.794 Å, 104.94 104.94 26.26°
Atoms (fractional coordinates):
Na (0.133, 0.133, 0.072)
Na (0.867, 0.867, 0.928)
Dy (0.175, 0.175, 0.595)
Dy (0.825, 0.825, 0.405)
Hg (0.483, 0.483, 0.275)
Hg (0.517, 0.517, 0.725)
S (0.000, 0.000, 0.500)
S (0.323, 0.323, 0.191)
S (0.336, 0.336, 0.627)
S (0.500, 0.500, 0.000)
S (0.664, 0.664, 0.373)
S (0.677, 0.677, 0.809)



Below is NaDyHgS3 after structural relaxation, with properties calculated at the PBE-GGA level.

Calculated values
Total DFT energy (no corrections), Ry per atom: -0.3132

Cell: 7.873 4.065 10.402 Å, 90.00 106.33 90.00°
Atoms (fractional coordinates):
Na (0.188, 0.250, 0.159)
Na (0.812, 0.750, 0.841)
Dy (0.329, 0.750, 0.857)
Dy (0.671, 0.250, 0.143)
Hg (0.079, 0.250, 0.615)
Hg (0.921, 0.750, 0.385)
S (0.082, 0.250, 0.860)
S (0.255, 0.750, 0.568)
S (0.436, 0.750, 0.131)
S (0.564, 0.250, 0.869)
S (0.745, 0.250, 0.432)
S (0.918, 0.750, 0.140)



Short version: energy above the most stable polymorph in this dataset = 0.65; 0.87; 0.29 kcal/mol of atoms, in the order given.


ErSnGePd | PBE | optimized geometry

Cell lengths 4.8954, 4.8954, 4.8954 Å; angles 60.00, 60.00, 60.00 degrees
Positions (direct):
Sn1 0.0000 0.0000 0.0000
Pd1 0.7500 0.7500 0.7500
Er1 0.5000 0.5000 0.5000
Ge1 0.2500 0.2500 0.2500

Computed properties:
The density comes out at 9.31 g/cm³. Its total magnetization is 0.0 μB/f.u. Its space group is F-43m (216). Its density of states at the Fermi level is 0.64 states/eV/atom. The raw total energy comes out at -5.0784 eV/atom.



Hf2ZrRu | PBE | optimized geometry